Re-entry technologies

Horizontal vs vertical landing – a comparison

For years, the German Aerospace Center (Deutsches Zentrum für Luft- und Raumfahrt; DLR) has researched various concepts aimed at making rockets reusable. Instead of treating rockets as disposable, at least parts of the rocket, such as the first stage, should be able to land and be re-flown multiple times. This shift is crucial for making space transport more resource-efficient, climate-compatible and cost-effective. For this, two primary approaches are being explored: horizontal and vertical landing. Horizontal landing, simply put, involves the use of aerodynamic wing structures to slow the rocket stage as it falls back to Earth, allowing it to transition into horizontal flight and land similarly to an aircraft. Vertical landing, by contrast, uses additional fuel to generate counterthrust, slowing the descent of the rocket and enabling a controlled vertical landing.

Elon Musk's SpaceX company launches both cargo and crew into Earth orbit multiple times a week with the Falcon 9 and Falcon Heavy rockets, and now regularly lands the first stage or booster. Musk opted for vertical landing, and it is successful in that some of his rockets can be reused. Nevertheless, research continues across all approaches, as both methods come with distinct advantages and disadvantages. As a general rule, any approach for reusable rocket stages push the materials to their structural and thermal limits, invariably leading to increased launcher mass.

Reusability requires greater weight and complexity

When comparing horizontal and vertical landing, the methods for recovery differ significantly. In the case of vertical landing, the reusable variant closely resembles a conventional rocket on the outside, with only minor additions such as small control surfaces and landing legs. In contrast, landing horizontally requires sufficiently large wings, aerodynamic control surfaces, landing gear and – if necessary – additional aircraft engines. Here, deceleration is achieved entirely through aerodynamic forces. This configuration is more complex, expensive and heavier than traditional 'disposable' stages due to the addition of wings, flaps and thermal protection, all of which reduce the rocket's maximum payload capacity.

Infographic: Relationship between speed and altitude for vertical and horizontal landing systems
In the horizontal 'fly-back' approach, the wings of the rocket stage continuously reduce its speed, starting at an altitude of about 60 kilometres (green). In the case of the vertically-entering rocket (blue), engines trigger deceleration in a targeted manner at a similar altitude, which can be seen as an abrupt change in speed in the diagram.

On the other hand, vertical landing systems require rocket engines that can be reignited multiple times during flight and that can be throttled over a wide range. This capability is crucial for ensuring a soft touchdown during a vertical landing. However, such systems require significantly more fuel, with up to 15 percent of the first stage's total fuel mass reserved for landing, reducing the rocket's payload capacity.

The primary goal of any rocket is to deliver as much payload mass into space as possible. Therefore, the launch vehicle itself must be as light as possible, including the total mass of all structural components and propellants required for the launch and the return flight. Both horizontal and vertical landing techniques result in an increased mass of the launch vehicle. Therefore, mass alone is not a decisive factor when choosing between these two systems.

Landing technologies differ in their operational and climate impact

Vertical landing at sea requires a platform to be placed 500 to 1500 kilometres offshore before take-off. The logistical complexity can be reduced if the rocket returns back to the launch site, however this approach requires significantly more fuel – meaning such a return is only feasible for missions with relatively small payloads.

### Someone pasted crystal structures at this point
/*
# Y2Tm3Si4
Calculated powder X-ray diffraction pattern, Cu Kα (weighted mean of Kα1 and Kα2). Input: a cell relaxed with PBE.

Atomic structure:
```
data_Y2Tm3Si4
_cell_length_a 7.594
_cell_length_b 7.637
_cell_length_c 7.311
_cell_angle_alpha 90.00
_cell_angle_beta 107.15
_cell_angle_gamma 90.00
_space_group_name_H-M_alt 'P 1 21/c 1'
_space_group_IT_number 14
loop_
_space_group_symop_operation_xyz
'x,y,z'
'-x,-y,-z'
'-x,y+1/2,-z+1/2'
'x,-y+1/2,z+1/2'
loop_
_atom_site_label
_atom_site_type_symbol
_atom_site_fract_x
_atom_site_fract_y
_atom_site_fract_z
Y1 Y 0.197 0.179 0.081
Tm1 Tm 0.245 0.681 0.252
Tm2 Tm 0.500 0.000 0.500
Si1 Si 0.079 0.531 0.871
Si2 Si 0.489 0.121 0.875
```

Top 6 peaks for 2θ from 10° to 80°, sorted by position:
2θ = 27.47°, intensity 33.1, hkl 1 1 -2
2θ = 29.82°, intensity 37.4, hkl 2 0 -2
2θ = 33.72°, intensity 100.0, hkl 1 1 2
2θ = 34.09°, intensity 57.7, hkl 2 2 0
2θ = 38.45°, intensity 33.7, hkl 1 3 -1
2θ = 38.80°, intensity 34.6, hkl 1 1 -3

***

# Zn4Ag5
Calculated powder X-ray diffraction pattern, Cu Kα (weighted mean of Kα1 and Kα2). Input: a cell relaxed with PBE.

Atomic structure:
```
data_Zn4Ag5
_cell_length_a 7.8680
_cell_length_b 7.8680
_cell_length_c 5.5459
_cell_angle_alpha 90.00
_cell_angle_beta 90.00
_cell_angle_gamma 120.00
_space_group_name_H-M_alt 'P 63/m c m'
_space_group_IT_number 193
_space_group_name_Hall '-P 6c 2'
loop_
_atom_site_label
_atom_site_type_symbol
_atom_site_fract_x
_atom_site_fract_y
_atom_site_fract_z
Zn1 Zn 0.0000 0.0000 0.0000
Zn2 Zn 0.0000 0.3666 0.2500
Ag1 Ag 0.0000 0.2994 0.7500
Ag2 Ag 0.3333 0.6667 0.0000
```

Top 6 peaks for 2θ from 10° to 80°, sorted by position:
2θ = 27.80°, intensity 4.5, hkl 1 1 1
2θ = 38.54°, intensity 10.1, hkl 2 1 1
2θ = 39.73°, intensity 100.0, hkl 3 0 0
2θ = 57.44°, intensity 14.6, hkl 2 2 2
2θ = 67.56°, intensity 3.7, hkl 0 0 4
2θ = 72.06°, intensity 17.7, hkl 3 3 0

***

# SmIn6S8
Calculated powder X-ray diffraction pattern, Cu Kα (weighted mean of Kα1 and Kα2). Input: a cell relaxed with PBE.

Atomic structure:
```
data_SmIn6S8
_cell_length_a 10.6116
_cell_length_b 10.6116
_cell_length_c 11.3637
_cell_angle_alpha 90.00
_cell_angle_beta 90.00
_cell_angle_gamma 120.00
_space_group_name_H-M_alt 'R -3'
_space_group_IT_number 148
_space_group_name_Hall '-R 3'
loop_
_atom_site_label
_atom_site_type_symbol
_atom_site_fract_x
_atom_site_fract_y
_atom_site_fract_z
Sm1 Sm 0.0000 0.0000 0.0000
In1 In 0.0577 0.2250 0.6050
S1 S 0.0000 0.0000 0.2586
S2 S 0.0022 0.2672 0.0950
```

Top 6 peaks for 2θ from 10° to 80°, sorted by position:
2θ = 18.36°, intensity 30.1, hkl 0 1 2
2θ = 26.84°, intensity 100.0, hkl 2 1 1
2θ = 30.16°, intensity 72.9, hkl 3 -2 2
2θ = 37.21°, intensity 24.9, hkl 0 2 4
2θ = 41.04°, intensity 24.9, hkl 3 -1 4
2θ = 45.22°, intensity 35.9, hkl 1 4 0

***

# La3Tb2Sm4
Calculated powder X-ray diffraction pattern, Cu Kα (weighted mean of Kα1 and Kα2). Input: a cell relaxed with PBE.

Atomic structure:
```
data_La3Tb2Sm4
_cell_length_a 3.6408
*/

While winged systems for horizontal landing can autonomously return to their launch site using aircraft engines, the 'in-air capture' gliding return system is a concept without additional propulsion. This requires a specially equipped towing aircraft to be deployed to the capture zone in advance, which introduces another element with a potential impact on the climate. Is this a deal-breaker? Not necessarily. Studies suggest that the effects of burnt fuel are particularly significant for global warming in the upper atmosphere – precisely where vertically-landing rockets ignite their engines during deceleration manoeuvres, presenting a clear disadvantage for this method. In this context, the use of a tow plane does not necessarily represent a critical drawback in terms of overall climate impact. Notably, emissions from an aircraft are significantly lower than those from a rocket. What's more, they fly below the stratosphere so do not form contrails, which have a demonstrable impact on the climate.

All approaches have their advantages and disadvantages, which is why DLR continues to explore horizontal and vertical reuse concepts in detail. The basics of vertical landing have been researched in the RETALT project and are being implemented in the CALLISTO and SALTO flight demonstrators. In the ReFEx project, on the other hand, a flight demonstrator with a horizontal landing configuration is being investigated, while the FALCon project is developing a solution for 'winged return flight' without propulsion – the innovative in-air capture approach. With LUMEN demonstrator, an important step has been taken on the path to the 'virtual engine', while also being used to research AI-based engine control and safety management, which will be required for future reusable rocket engines.

A key goal of reusable systems is to reduce launch costs. But after how many launches do they become more cost-effective than conventional 'disposable' stages? In 2024, the DLR Institute of Space Systems in Bremen conducted a cost analysis across various payload scenarios and found that reusable stages become more economical than non-reusable stages after as few as three launches per year. This assessment includes not only the ongoing launch costs but also accounts for the development costs associated with reusable systems.


Philipp Burtscheidt

Senior editor DLR media relations
German Aerospace Center (DLR)
Corporate Communications
Linder Höhe, 51147 Cologne
Tel: +49 2203 601-2323

Martin Sippel

Head of department
German Aerospace Center (DLR)
Institute of Space Systems
Space Launcher Systems Analysis (SART)
Robert-Hooke-Straße 7, 28359 Bremen